== Material ==
┌──
First-principles (GGA-PBE) data for KTlIr after structural relaxation, as listed in Alexandria.

D(E_F)   10.32 states/eV per cell
ΔE_f   404 kJ/mol of formula units
Distance to the lowest polymorph of the same formula   0.9623 eV/atom
M_tot   1.06 μB/cell

Geometry as POSCAR:
```
KTlIr
1.0
0.000 3.631 3.631
3.631 0.000 3.631
3.631 3.631 0.000
K Tl Ir
1 1 1
direct
0.000 0.000 0.000
0.750 0.750 0.750
0.250 0.250 0.250
```

First-principles (GGA-PBE) data for KTlIr after structural relaxation, as listed in Alexandria.

D(E_F)   1.63 states/eV per cell
ΔE_f   182 kJ/mol of formula units
Distance to the lowest polymorph of the same formula   0.1971 eV/atom
M_tot   0.00 μB/cell

Geometry as POSCAR:
```
KTlIr
1.0
3.202 0.000 0.000
-1.601 2.773 0.000
0.000 0.000 7.912
K Tl Ir
1 1 1
direct
0.000 0.000 0.000
0.667 0.333 0.393
0.333 0.667 0.669
```

ΔE_f of number 2 (KTlIr)?
182 kJ/mol of formula units

=====

No. 1
A plane-wave DFT calculation with PBE was carried out for a geometry-optimized ReSnW structure.

Cell lengths 6.2069, 6.2069, 6.2069 Å; angles 90.00, 90.00, 90.00 degrees
Space group F-43m (No. 216)
Unique sites:
Re  0.0000  0.0000  0.0000 [4 per cell]
Sn  0.2500  0.2500  0.7500 [4 per cell]
W  0.2500  0.2500  0.2500 [4 per cell]

Calculated values
E_tot   -111.438 eV for the cell shown

No. 2
A plane-wave DFT calculation with PBE was carried out for a geometry-optimized Y2ZnHgAs2O2 structure.

Cell lengths 4.0279, 4.0279, 9.0186 Å; angles 90.00, 90.00, 90.00 degrees
Space group P-4m2 (No. 115)
Unique sites:
Y  0.0000  0.5000  0.1179 [2 per cell]
Zn  0.5000  0.5000  0.5000 [1 per cell]
Hg  0.0000  0.0000  0.5000 [1 per cell]
As  0.0000  0.5000  0.7002 [2 per cell]
O  0.0000  0.0000  0.0000 [1 per cell]
O  0.5000  0.5000  0.0000 [1 per cell]

Calculated values
E_tot   -46.911 eV for the cell shown

No. 3
A plane-wave DFT calculation with PBE was carried out for a geometry-optimized NaBeSnAu structure.

Cell lengths 6.6946, 6.6946, 6.6946 Å; angles 90.00, 90.00, 90.00 degrees
Space group F-43m (No. 216)
Unique sites:
Na  0.0000  0.0000  0.0000 [4 per cell]
Be  0.2500  0.2500  0.2500 [4 per cell]
Sn  0.0000  0.0000  0.5000 [4 per cell]
Au  0.2500  0.2500  0.7500 [4 per cell]

Calculated values
E_tot   -46.560 eV for the cell shown

=====

Density functional theory data (SCAN) for a PBEsol-optimized structure of K2AgBr.

Lattice parameters (Å, degrees): 4.6394 4.6394 8.3924 73.95 73.95 60.00
Closest atoms and distances in Å follow each position.
Element x y z (fractional)
Br1 0.0000 0.0000 0.0000  6 K 3.27
Ag1 0.5000 0.5000 0.5000  6 K 3.40
K1 0.7455 0.7455 0.7636  3 Br 3.27, 3 Ag 3.40
K2 0.2545 0.2545 0.2364  3 Br 3.27, 3 Ag 3.40

DFT total energy	-17.741	eV/atom
spin magnetization	0.0	μB/f.u.
formation energy from raw total energies	-870	meV/atom
crystal system	trigonal

---

Density functional theory data (SCAN) for a PBEsol-optimized structure of SrMnV2Ag2O8.

Lattice parameters (Å, degrees): 5.5592 5.6358 13.4837 90.87 90.00 119.55
Closest atoms and distances in Å follow each position.
Element x y z (fractional)
O1 0.7170 0.3249 0.2522  1 V 1.70
Mn1 0.0000 0.0000 0.5000  6 O 2.04-2.19
O2 0.7932 0.2168 0.4451  1 V 1.74
O3 0.5763 0.7832 0.0549  1 V 1.74
O4 0.3922 0.6751 0.2478  1 V 1.70
O5 0.2068 0.7832 0.5549  1 V 1.74
O6 0.0676 0.3082 0.0973  1 V 1.73
Ag1 0.7129 0.3148 0.5978  2 O 2.17-2.22
O7 0.2406 0.3082 0.5973  1 V 1.73
V1 0.7189 0.3506 0.8718  4 O 1.70-1.74
O8 0.6078 0.3249 0.7522  1 V 1.70
O9 0.4237 0.2168 0.9451  1 V 1.74
O10 0.2749 0.1653 0.3847  1 V 1.74
O11 0.1096 0.8347 0.1153  1 V 1.74
Ag2 0.2871 0.6852 0.4022  2 O 2.17-2.22
V2 0.3683 0.6494 0.6282  4 O 1.70-1.74
O12 0.9324 0.6918 0.9027  1 V 1.73
O13 0.2830 0.6751 0.7478  1 V 1.70
O14 0.8904 0.1653 0.8847  1 V 1.74
V3 0.2811 0.6494 0.1282  4 O 1.70-1.74
O15 0.7594 0.6918 0.4027  1 V 1.73
O16 0.7251 0.8347 0.6153  1 V 1.74
Sr1 0.9119 0.0000 0.2500  6 O 2.52-2.58
Sr2 0.0881 0.0000 0.7500  6 O 2.52-2.58
V4 0.6317 0.3506 0.3718  4 O 1.70-1.74
└──

== Work order ==
Please transcribe every line above that contains the word "atom".

== Solution ==
Distance to the lowest polymorph of the same formula   0.9623 eV/atom
Distance to the lowest polymorph of the same formula   0.1971 eV/atom
DFT total energy	-17.741	eV/atom
formation energy from raw total energies	-870	meV/atom